Insight: Interview with Dr. Ajit Maan, Narrative Strategies
Dr. Ajit Maan is a security analyst, defence strategist, and a narrative specialist. She is Founder and CEO of the U.S. based think-tank Narrative Strategies, Faculty member of George Mason University’s Center for Narrative Conflict Resolution, Faculty member of Union Institute and University’s Inter-Disciplinary Doctoral Program, and Member of theContinue Reading
Next to the page, the page also holds records of crystals >
'''
No. 1
Starting from DFT lattice parameters and positions (PBE+U), the powder diffractogram of PrV2IO9 was computed for Cu Kα (weighted mean of Kα1 and Kα2).
No peak broadening, texture or thermal motion is included.

Structural model:
Lattice parameters (Å, degrees): 7.123 14.731 7.344 90.00 90.00 90.00
Atoms (fractional coordinates):
Pr1 0.150 0.047 0.250
Pr2 0.150 0.453 0.750
Pr3 0.850 0.547 0.250
Pr4 0.850 0.953 0.750
V1 0.182 0.729 0.750
V2 0.182 0.771 0.250
V3 0.464 0.250 0.000
V4 0.464 0.250 0.500
V5 0.536 0.750 0.000
V6 0.536 0.750 0.500
V7 0.818 0.229 0.750
V8 0.818 0.271 0.250
I1 0.297 0.056 0.750
I2 0.297 0.444 0.250
I3 0.703 0.556 0.750
I4 0.703 0.944 0.250
O1 0.012 0.692 0.250
O2 0.012 0.808 0.750
O3 0.083 0.626 0.750
O4 0.083 0.874 0.250
O5 0.173 0.509 0.071
O6 0.173 0.509 0.429
O7 0.173 0.991 0.571
O8 0.173 0.991 0.929
O9 0.261 0.750 0.000
O10 0.261 0.750 0.500
O11 0.330 0.157 0.042
O12 0.330 0.157 0.458
O13 0.330 0.343 0.542
O14 0.330 0.343 0.958
O15 0.469 0.722 0.750
O16 0.469 0.778 0.250
O17 0.476 0.502 0.750
O18 0.476 0.998 0.250
O19 0.524 0.002 0.750
O20 0.524 0.498 0.250
O21 0.531 0.222 0.750
O22 0.531 0.278 0.250
O23 0.670 0.657 0.042
O24 0.670 0.657 0.458
O25 0.670 0.843 0.542
O26 0.670 0.843 0.958
O27 0.739 0.250 0.000
O28 0.739 0.250 0.500
O29 0.827 0.009 0.071
O30 0.827 0.009 0.429
O31 0.827 0.491 0.571
O32 0.827 0.491 0.929
O33 0.917 0.126 0.750
O34 0.917 0.374 0.250
O35 0.988 0.192 0.250
O36 0.988 0.308 0.750

Peak list (8 most intense, 15 to 90 degrees two-theta, in order of rising 2θ)
2θ = 21.99°, d 4.043, I = 100; 2θ = 24.21°, d 3.676, I = 80; 2θ = 27.13°, d 3.286, I = 46; 2θ = 28.50°, d 3.131, I = 62; 2θ = 32.94°, d 2.719, I = 78; 2θ = 41.28°, d 2.187, I = 36; 2θ = 45.39°, d 1.998, I = 36; 2θ = 47.20°, d 1.926, I = 33

No. 2
Starting from DFT lattice parameters and positions (PBE+U), the powder diffractogram of PrWIO4 was computed for Cu Kα (weighted mean of Kα1 and Kα2).
No peak broadening, texture or thermal motion is included.

Structural model:
Lattice parameters (Å, degrees): 6.759 6.759 7.324 103.23 103.23 67.63
Atoms (fractional coordinates):
Pr1 0.244 0.244 0.136
Pr2 0.756 0.756 0.864
W1 0.366 0.366 0.739
W2 0.634 0.634 0.261
I1 0.019 0.019 0.752
I2 0.981 0.981 0.248
O1 0.122 0.496 0.853
O2 0.303 0.303 0.483
O3 0.467 0.467 0.201
O4 0.496 0.122 0.853
O5 0.504 0.878 0.147
O6 0.533 0.533 0.799
O7 0.697 0.697 0.517
O8 0.878 0.504 0.147

Peak list (8 most intense, 15 to 90 degrees two-theta, in order of rising 2θ)
2θ = 23.36°, d 3.808, I = 32; 2θ = 23.65°, d 3.762, I = 100; 2θ = 25.30°, d 3.520, I = 44; 2θ = 27.24°, d 3.274, I = 49; 2θ = 27.47°, d 3.247, I = 45; 2θ = 32.54°, d 2.752, I = 52; 2θ = 34.91°, d 2.570, I = 35; 2θ = 43.83°, d 2.065, I = 24

----------

Structure and simulated powder XRD pattern of BaNd2Mo4O16 (the GGA+U geometry in Alexandria; Cu Kα, 1.54184 Å).
Lines closer than 0.1° are merged.

Atomic structure:
Unit cell a=5.4269 b=12.9740 c=19.9933 alpha=90.00 beta=91.33 gamma=90.00
'''
The Fleeting Soft Power Opportunity in Yemen
The apparent execution of Yemen’s former President Ali Abdullah Saleh in December provides a window of opportunity for al Qaeda in the Arabian Peninsula and ISIS to join forces and gather the support of the desperate and ungoverned civilian population. That would be a deep blow to U.S. counterterrorism efforts.Continue Reading
Qatar and the Terrorism Blame Game
Between January 19, 2018 and January 24, 2018, a delegation of researchers and academics from the U.S. think-tanks and non-profit organizations, which also included researchers from the International Center for the Study of Violent Extremism (ICSVE), paid a visit to Qatar to meet the Minister of Foreign Affairs, the MinisterContinue Reading
Recruitment Narratives: Cutting Off the Legs Isn’t Enough
Recruitment Narratives: Cutting Off the Legs Isn’t Enough Rather than undermine our own ideals with attempts to control information, we should animate our values by enabling our adversaries, and the audience they influence, to see us as encouraging bravery of thought, honoring dissent, even engaging heretical discourse. By Ajit Mann,Continue Reading
ICSVE’s new Breaking the ISIS Brand video clip – Dreams of the Islamic State
By Anne Speckhard, Ph.D. ICSVE is proud toannounce the release of our newest video in the Breaking the ISIS Brand–ISIS Cadres Counter-Narrative Project. “Dreams of the Islamic State” produced by ICSVE’s Zack Baddorf is based on Anne Speckhard’s and Ahmed Yayla’s interview in Turkey of Syrian ISIS defector, Ibn Mesud. Ibn Mesud wasContinue Reading
Ensuring a long-term win against ISIS in Mosul
The Need for Rehabilitation & Reintegration Programs & Restoring Security and Justice By Anne Speckhard, Ph.D., Grace Wakim & Ardian Shajkovci Allah Akbar (meaning God is Greatest) is a colloquial expression commonly used by Muslims, especially in the Arab world, to praise God and express commitment to the religion ofContinue Reading
The Truck as a “Just” Tool of Terror – What we can Learn from the Stockholm, Sweden Attack
It is a sunny Friday afternoon in Stockholm, the capital of Sweden. Thousands of people have come out of their winter hiding to enjoy the weekend’s bright sunny, spring weather. Many of them are walking down Queens Street, a 1.5 kilometer long pedestrian street running through town, connecting its olderContinue Reading
Improving Our Predictive Capacities Against Terror Attacks by Individuals
Commentary following attacks like the one in London often contribute to public terror. The public has repeatedly been told that the actions of “Lone Wolves” are “impossible to prevent” while simultaneously being told to “keep the terrorist threat in perspective.” Exactly what are we to keep in perspective if theContinue Reading
== Here the entry breaks off for crystal structures ==
- - -
No. 1
Starting from a crystal structure in Alexandria, relaxed with GGA-PBE, the PXRD pattern of Tm15S22 was calculated for copper Kα.
Peak positions follow from Bragg's law for the DFT cell and can differ from measured ones.

Atomic structure:
```
Tm15S22
1.0
19.3077 -1.9267 0.0000
19.3077 1.9267 0.0000
-0.2377 0.0000 11.1749
Tm S
15 22
Cartesian
0.0000 0.0000 0.0000
2.6067 0.0000 3.9814
4.0754 0.0000 0.1231
7.5533 0.0000 10.5445
10.2140 0.0000 3.9575
13.0549 0.0000 7.7566
14.1249 0.0000 3.8430
17.7042 0.0000 3.0171
20.6736 0.0000 8.1577
24.2528 0.0000 7.3319
25.3229 0.0000 3.4183
28.1638 0.0000 7.2174
30.8245 0.0000 0.6304
34.3023 0.0000 11.0518
35.7710 0.0000 7.1934
0.2199 0.0000 2.6853
3.3027 0.0000 8.4449
5.0815 0.0000 5.1455
6.4101 0.0000 1.6681
6.9968 0.0000 7.7391
9.8301 0.0000 1.3544
10.6317 0.0000 6.6474
13.5967 0.0000 1.0390
15.5082 0.0000 8.8710
17.0192 0.0000 5.5148
17.4165 0.0000 0.3259
20.9613 0.0000 10.8490
21.3585 0.0000 5.6601
22.8696 0.0000 2.3039
24.7811 0.0000 10.1358
27.7461 0.0000 4.5275
28.5477 0.0000 9.8204
31.3809 0.0000 3.4358
31.9677 0.0000 9.5067
33.2963 0.0000 6.0294
35.0751 0.0000 2.7299
38.1579 0.0000 8.4896
```

Top 12 peaks for 2θ = 10–90°, most intense first:
| Position (°2θ) | I/Imax |
| --- | --- |
| 24.56 | 100.0 |
| 23.89 | 80.1 |
| 47.15 | 63.7 |
| 28.25 | 59.4 |
| 32.12 | 57.8 |
| 34.57 | 57.4 |
| 27.81 | 50.4 |
| 26.99 | 47.5 |
| 42.78 | 44.8 |
| 44.98 | 38.1 |
| 25.45 | 37.7 |
| 24.53 | 28.4 |


No. 2
Starting from a crystal structure in Alexandria, relaxed with GGA-PBE, the PXRD pattern of Pu3P2 was calculated for copper Kα.
Peak positions follow from Bragg's law for the DFT cell and can differ from measured ones.

Atomic structure:
```
Pu3P2
1.0
1.8785 -7.0808 0.0000
1.8785 7.0808 0.0000
0.0000 0.0000 8.4252
Pu P
6 4
Cartesian
1.8785 6.5345 6.3189
1.8785 4.8452 0.5389
1.8785 4.8452 3.6737
1.8785 -4.8452 4.7515
1.8785 -4.8452 7.8863
1.8785 -6.5345 2.1063
1.8785 3.7455 6.3189
1.8785 0.0000 0.0000
1.8785 0.0000 4.2126
1.8785 -3.7455 2.1063
```

Top 12 peaks for 2θ = 10–90°, most intense first:
| Position (°2θ) | I/Imax |
| --- | --- |
| 24.53 | 100.0 |
| 37.30 | 66.1 |
| 34.35 | 40.7 |
| 40.61 | 40.1 |
| 41.33 | 33.5 |
| 27.32 | 27.5 |
| 30.41 | 22.5 |
| 33.05 | 20.9 |
| 69.57 | 18.0 |
| 48.46 | 17.3 |
| 60.74 | 16.4 |
| 61.66 | 13.5 |


No. 3
Starting from a crystal structure in Alexandria, relaxed with GGA-PBE, the PXRD pattern of In2CuSe3I was calculated for copper Kα.
Peak positions follow from Bragg's law for the DFT cell and can differ from measured ones.

Atomic structure:
```
In2CuSe3I
1.0
7.0536 -2.0883 0.0000
7.0536 2.0883 0.0000
-1.2031 0.0000 7.1599
In Cu Se I
2 1 3 1
Cartesian
0.0000 0.0000 0.0000
2.5375 0.0000 5.4113
10.0293 0.0000 1.8881
2.5508 0.0000 0.6619
5.2292 0.0000 5.6331
8.8505 0.0000 3.9985
12.6592 0.0000 2.3620
```

Top 12 peaks for 2θ = 10–90°, most intense first:
| Position (°2θ) | I/Imax |
| --- | --- |
| 26.03 | 100.0 |
| 25.61 | 34.0 |
| 42.66 | 33.7 |
| 43.21 | 30.8 |
- - -
Russia under threat?
Unrelated to this page: data records >
Starting from a structure optimized by DFT (GGA-PBE), the XRD peak list of CuH8C2Br3NO was calculated for Cu Kα (weighted mean of Kα1 and Kα2).
Intensities are scaled so that the largest is 100.

Crystal structure
Lattice parameters (Å, degrees): 6.495 8.427 8.974 68.47 79.88 76.94
Space group P-1 (No. 2)
Unique sites:
Cu (0.239, 0.432, 0.108) x2
H (0.044, 0.864, 0.210) x2
H (0.109, 0.822, 0.552) x2
H (0.145, 0.871, 0.776) x2
H (0.167, 0.655, 0.480) x2
H (0.191, 0.035, 0.103) x2
H (0.353, 0.698, 0.560) x2
H (0.374, 0.968, 0.348) x2
H (0.423, 0.793, 0.271) x2
C (0.122, 0.961, 0.223) x2
C (0.301, 0.872, 0.329) x2
Br (0.126, 0.410, 0.867) x2
Br (0.282, 0.386, 0.387) x2
Br (0.419, 0.745, 0.937) x2
N (0.225, 0.755, 0.490) x2
O (0.028, 0.926, 0.707) x2

Peak list (10 most intense, 5° ≤ 2θ ≤ 70°, most intense first)
- 11.47 deg, intensity 100, (0 1 0)
- 24.85 deg, intensity 74, (1 2 0)
- 10.65 deg, intensity 43, (0 0 1)
- 12.72 deg, intensity 37, (0 1 1)
- 40.15 deg, intensity 31, (-2 2 1)
- 31.19 deg, intensity 25, (1 1 3)
- 25.60 deg, intensity 24, (0 2 2)
- 32.58 deg, intensity 22, (2 -1 0)
- 34.02 deg, intensity 20, (-2 1 1)
- 26.91 deg, intensity 20, (1 0 -2)

----------

1.
This entry pairs a crystal structure of Rb2NaAuBr6 with its simulated XRD peak list. Radiation: Cu Kα. Structure: the GGA-PBE geometry in the Materials Project.

Peak list (12 most intense, 2θ from 15° to 90°, sorted by position)
| 2theta | intensity |
| --- | --- |
| 15.9 | 32 |
| 22.6 | 33 |
| 26.6 | 22 |
| 27.8 | 49 |
| 32.2 | 100 |
| 36.1 | 17 |
| 42.3 | 15 |
| 46.2 | 71 |
| 54.8 | 20 |
| 57.4 | 24 |
| 76.7 | 31 |
| 85.6 | 23 |

Structural model:
```
10
Lattice="0.000 5.557 5.557 5.557 0.000 5.557 5.557 5.557 0.000" Properties=species:S:1:pos:R:3 pbc="T T T"
Rb 2.779 2.779 2.779
Rb 8.336 8.336 8.336
Na 0.000 0.000 0.000
Au 5.557 5.557 5.557
Br 5.557 5.557 2.893
Br 5.557 2.893 5.557
Br 8.222 5.557 5.557
Br 2.893 5.557 5.557
Br 5.557 8.222 5.557
Br 5.557 5.557 8.222
```


2.
This entry pairs a crystal structure of RbAuBr4 with its simulated XRD peak list. Radiation: Cu Kα. Structure: the GGA-PBE geometry in the Materials Project.

Peak list (12 most intense, 2θ from 15° to 90°, sorted by position)
| 2theta | intensity |
| --- | --- |
| 16.9 | 66 |
| 18.2 | 79 |
| 19.3 | 22 |
| 21.7 | 23 |
| 27.6 | 45 |
| 28.3 | 100 |
| 34.2 | 37 |
| 40.0 | 30 |
| 44.2 | 33 |
| 51.2 | 30 |
| 56.7 | 25 |
| 57.9 | 25 |

Structural model:
```
12
Lattice="7.683 0.000 0.000 0.000 6.375 0.000 -5.900 0.000 9.203" Properties=species:S:1:pos:R:3 pbc="T T T"
Rb 0.000 0.000 0.000
Rb -2.950 3.187 4.602
Au 0.892 0.000 4.602
Au 3.842 3.187 0.000
Br -1.313 0.096 3.484
Br -4.263 3.091 8.085
Br 1.599 4.581 3.036
Br -1.351 4.981 7.638
Br 3.135 1.394 1.566
Br 0.185 1.794 6.167
Br 6.047 3.283 1.118
Br 3.097 6.279 5.720
```


3.
This entry pairs a crystal structure of Rb2YAuBr6 with its simulated XRD peak list. Radiation: Cu Kα. Structure: the GGA-PBE geometry in the Materials Project.
Australian Foreign Policy White Paper Submission, February 2017 Submitted by Jeff Schubert to This is a personal submission and should in no way be interpreted as reflecting the views of any other person or any organization. By Jeff Schubert, Head / Director, International Centre for Eurasian Research, This submissionContinue Reading
How Narrative Impacts Warfare
Part of the war games the U.S. and Norway are currently conducting ought to involve practice in the deployment of strategic narrative. In what may be the understatement of the decade, one Norwegian official said, “we have gradually seen more and more … strategic messages being sent [by Moscow].” ItContinue Reading